**Source**
<<<
A relaxed structure of PaReNO. Source: the Open Quantum Materials Database, functional PBE.

Values from the calculation:
The value obtained for the energy above the most stable polymorph in this dataset is 519 meV/atom.

abc: 4.839 4.839 4.452
angles: 90.00 90.00 90.00
Positions (direct):
Pa: 0.250 0.750 0.000
Pa: 0.750 0.250 0.000
Re: 0.250 0.250 0.457
Re: 0.750 0.750 0.543
N: 0.250 0.250 0.959
N: 0.750 0.750 0.041
O: 0.250 0.750 0.500
O: 0.750 0.250 0.500

=====

24
Lattice="-0.491 -0.943 6.698 -4.861 -6.930 -4.053 11.372 -7.820 -0.268" Properties=species:S:1:pos:R:3 comment="GGA-PBEsol K2ZrTe3, relaxed" space_group="P2_1/c (14)" raw_formation_energy_ev_per_atom=-1.00 crystal_system=monoclinic pbc="T T T"
K -1.586 -3.428 3.051
K 2.625 -9.480 2.787
K 7.606 -12.265 -0.673
K 3.395 -6.213 -0.410
K 1.122 -1.793 -0.015
K 2.655 -11.716 -0.898
K 4.898 -13.900 2.392
K 3.365 -3.976 3.276
Zr -0.892 -7.455 1.560
Zr 6.679 -8.718 4.167
Zr 6.912 -8.238 0.818
Zr -0.659 -6.975 -1.789
Te -3.088 -6.542 3.165
Te 4.990 -6.960 2.653
Te 9.108 -9.151 -0.787
Te 1.030 -8.733 -0.275
Te -0.180 -4.969 0.171
Te 5.148 -9.360 -1.112
Te 6.200 -10.724 2.206
Te 0.872 -6.332 3.490
Te -3.023 -7.876 -0.434
Te 6.865 -5.679 -0.480
Te 9.043 -7.817 2.812
Te -0.844 -10.014 2.858


4
Lattice="4.374 0.000 0.000 0.000 4.374 0.000 -2.187 -2.187 5.533" Properties=species:S:1:pos:R:3 comment="GGA-PBEsol KZrTe2, relaxed" n_ef_per_ev_cell=3.00 space_group="I-4m2 (119)" raw_formation_energy_ev_per_atom=-0.27 crystal_system=tetragonal pbc="T T T"
K 0.000 2.187 2.766
Te 0.000 0.000 0.000
Te 2.187 0.000 2.766
Zr 2.187 2.187 0.000


4
Lattice="-0.181 -1.511 3.032 -1.809 -2.846 0.372 9.361 -8.185 -1.622" Properties=species:S:1:pos:R:3 comment="GGA-PBEsol K2ZrTe, relaxed" n_ef_per_ev_cell=4.58 space_group="R-3m (166)" raw_formation_energy_ev_per_atom=0.30 crystal_system=trigonal pbc="T T T"
K 2.057 -3.280 0.387
K 5.314 -9.262 1.396
Te 3.686 -6.271 0.891
Zr 0.000 0.000 0.000


29
Lattice="7.757 0.006 -0.007 -0.009 11.000 -0.011 -3.865 -5.493 9.537" Properties=species:S:1:pos:R:3 comment="GGA-PBEsol KZr12Te16, relaxed" n_ef_per_ev_cell=12.04 space_group="P-1 (2)" raw_formation_energy_ev_per_atom=-1.00 crystal_system=triclinic pbc="T T T"
K 3.879 0.003 -0.004
Te 2.920 -3.287 6.800
Te -0.969 -3.287 6.794
Te 2.919 2.044 8.980
Te -0.972 2.037 8.985
Te 2.902 1.275 3.278
Te -0.965 1.266 3.273
Te 4.852 8.800 2.725
Te 0.963 8.800 2.719
Te 4.855 3.476 0.534
Te 0.964 3.469 0.539
Te 4.848 4.247 6.246
Te 0.981 4.238 6.241
Te 4.857 0.004 6.343
Te 0.976 0.011 6.354
Te 2.907 5.502 3.165
Te -0.974 5.509 3.176
Zr -0.953 -1.333 4.683
Zr 2.906 -1.336 4.681
Zr -0.964 -0.766 8.353
Zr 2.925 -0.765 8.342
Zr -0.973 2.122 6.023
Zr 2.923 2.120 6.026
Zr 0.977 6.849 4.838
Zr 4.836 6.846 4.836
Zr 0.958 6.278 1.178
Zr 4.847 6.280 1.166
Zr 0.960 3.393 3.494
Zr 4.856 3.391 3.497


4
Lattice="5.290 0.000 0.000 2.645 4.581 0.000 2.645 1.527 4.319" Properties=species:S:1:pos:R:3 comment="GGA-PBEsol KZrTe2, relaxed" n_ef_per_ev_cell=3.35 space_group="F-43m (216)" raw_formation_energy_ev_per_atom=0.15 crystal_system=cubic pbc="T T T"
K 5.290 3.054 2.160
Te 0.000 0.000 0.000
Te 7.935 4.581 3.240
Zr 2.645 1.527 1.080


4
Lattice="-2.760 1.635 -1.719 -2.038 -1.873 -2.364 -8.366 -2.965 6.759" Properties=species:S:1:pos:R:3 comment="GGA-PBEsol KZrTe2, relaxed" n_ef_per_ev_cell=3.05 space_group="R3m (160)" raw_formation_energy_ev_per_atom=-0.04 crystal_system=trigonal pbc="T T T"
K -3.190 -0.758 0.548
Te -8.283 -2.929 6.660
Te -9.689 -2.324 1.787
Zr -6.949 -1.758 1.779


4
Lattice="6.380 0.000 0.000 0.000 6.380 0.000 -3.190 -3.190 4.665" Properties=species:S:1:pos:R:3 comment="GGA-PBEsol K3Ti, relaxed" n_ef_per_ev_cell=8.34 space_group="I4/mmm (139)" delta_e_f_ev_per_atom=0.921 crystal_system=tetragonal pbc="T T T"
K 0.000 3.190 2.332
K 3.190 0.000 2.332
K 3.190 3.190 0.000
Ti 0.000 0.000 0.000


5
>>>

**Wanted**
Now filter the contents further up: keep the lines with the word "functional".

**Worked solution**
A relaxed structure of PaReNO. Source: the Open Quantum Materials Database, functional PBE.